WITH factional heavyweights delaying critical federal pre-selections, Liberal Party boss Chris Stone has been threatened with a Supreme Court law suit.
The delays have occurred as factions attempt to cut members out of the candidate selection process and, instead, stitch up a deal to divvy up seats among factional mates.

- Liberal factions would prefer to see the Party fail than to lose control of it.
- Mosman branch vice-president calls factional deal making “contemptible”.
- Factions have been running down the clock hoping to force a deal.
The legal threat, brought this week by Right faction organiser Matthew Camenzuli, accuses NSW State Director Mr Stone of pursuing an agenda ulterior to the Party’s interests.
There is widespread belief among grassroots members that Liberal factions would prefer to see the Party fail than to lose control of it.
(What comes next are data records, not part of the article)
<<<
*1*
Computed, not measured: Hf3SnPt after structural relaxation at the GGA-PBE level of DFT.

Cell: 5.0509 5.0509 5.0509 Å, 90.00 90.00 90.00°
Closest atoms and distances in Å follow each position.
Space group Pm-3m (No. 221)
Inequivalent atoms, fractional coordinates:
Hf1 0.0000 0.0000 0.5000 x3  2 Pt 2.53
Sn1 0.5000 0.5000 0.5000 x1  12 Hf 3.57
Pt1 0.0000 0.0000 0.0000 x1  6 Hf 2.53

Summary:
D(E_F) (states/eV/f.u.): 2.06

*2*
Computed, not measured: Hf3SnPt after structural relaxation at the GGA-PBE level of DFT.

Cell: 9.8225 4.2577 10.6670 Å, 90.00 90.00 90.00°
Closest atoms and distances in Å follow each position.
Space group Amm2 (No. 38)
Inequivalent atoms, fractional coordinates:
Hf1 0.0000 0.0000 0.0000 x2  2 Pt 2.72
Hf2 0.1817 0.0000 0.3180 x4  2 Pt 2.75, 2 Sn 3.01
Hf3 0.2794 0.0000 0.6075 x4  2 Pt 2.67, 1 Sn 2.95
Hf4 0.5000 0.0000 0.8244 x2  2 Pt 2.65, 2 Sn 2.93
Sn1 0.0000 0.0000 0.7084 x2  9 Hf 2.95-3.11
Sn2 0.5000 0.0000 0.1353 x2  2 Pt 2.93, 6 Hf 2.93-3.05
Pt1 0.2726 0.0000 0.9573 x4  6 Hf 2.65-2.75, 1 Sn 2.93

Summary:
D(E_F) (states/eV/f.u.): 3.73

Q: Which of them is the least stable? A: *1*.

*1*
Computed, not measured: HfSn3Pt after structural relaxation at the GGA-PBE level of DFT.

Cell: 5.1861 5.1861 5.1861 Å, 90.00 90.00 90.00°
Closest atoms and distances in Å follow each position.
Space group Pm-3m (No. 221)
Inequivalent atoms, fractional coordinates:
Hf1 0.0000 0.0000 0.0000 x1  12 Sn 3.67
Sn1 0.0000 0.5000 0.5000 x3  2 Pt 2.59
Pt1 0.5000 0.5000 0.5000 x1  6 Sn 2.59

Summary:
D(E_F) (states/eV/f.u.): 7.32

*2*
Computed, not measured: HfSn3Pt after structural relaxation at the GGA-PBE level of DFT.

Cell: 5.4447 5.4447 5.4447 Å, 90.00 90.00 90.00°
Closest atoms and distances in Å follow each position.
Space group Pm-3m (No. 221)
Inequivalent atoms, fractional coordinates:
Hf1 0.0000 0.0000 0.0000 x1  6 Sn 2.72
Sn1 0.0000 0.0000 0.5000 x3  2 Hf 2.72
Pt1 0.5000 0.5000 0.5000 x1  12 Sn 3.85

Summary:
D(E_F) (states/eV/f.u.): 6.37

Q: Which of them is the least stable? A: *2*.

*1*
Computed, not measured: SrHfPt3 after structural relaxation at the GGA-PBE level of DFT.

Cell: 5.0369 5.0369 5.0369 Å, 90.00 90.00 90.00°
Closest atoms and distances in Å follow each position.
Space group Pm-3m (No. 221)
Inequivalent atoms, fractional coordinates:
Sr1 0.0000 0.0000 0.0000 x1  12 Pt 3.56
Hf1 0.5000 0.5000 0.5000 x1  6 Pt 2.52
Pt1 0.0000 0.5000 0.5000 x3  2 Hf 2.52

Summary:
D(E_F) (states/eV/f.u.): 2.04

*2*
Computed, not measured: SrHfPt3 after structural relaxation at the GGA-PBE level of DFT.

Cell: 5.0451 5.0451 5.0451 Å, 90.00 90.00 90.00°
Closest atoms and distances in Å follow each position.
Space group Pm-3m (No. 221)
Inequivalent atoms, fractional coordinates:
Sr1 0.0000 0.0000 0.0000 x1  6 Pt 2.52
Hf1 0.5000 0.5000 0.5000 x1  12 Pt 3.57
Pt1 0.0000 0.0000 0.5000 x3  2 Sr 2.52

Summary:
D(E_F) (states/eV/f.u.): 3.23

Q: Which of them is the least stable? A: *2*.

*1*
>>>
With a federal election just months away, factions have been running down the clock hoping to force a deal that would parachute in preferred candidates without requiring endorsement from members.
According to The Australian newspaper, the legal proceedings would be brought by both Mr Camenzuli personally, who is a member of the NSW Party executive, as well as a representative of members.
A legal letter to Mr Stone demanded that proper pre-selection processes commence no later than February 1. The Federal election is expected to be held in May.
The move has further split the Party with NSW Liberal president Philip Ruddock, who is aligned with the Left, saying he believes Mr Stone has acted appropriately.
Mosman branch vice-president David McLean, however, said the factional deal making was “contemptible” and had sparked wide-spread criticism among members.
“Our beloved Liberal Party is in crisis,” he wrote in a letter to members during the week.
“Media reports of cross-factional deals that cancel out democratic candidate selections by the membership are just horrifying.
“It can’t be allowed. I’m sure all of you have been deluged with similar outrage.
“To disrespect the membership in such a contemptible fashion will undoubtedly degrade our ground game in the upcoming election.
“It will cripple our campaign effectiveness. Who could be motivated to volunteer, let alone donate?”
Mr McLean said factional treaties needed to be stamped out and decision-making restored to the membership.PC
True, strong leadership resides in each Liberal MP’s remit. Being a faction groupie means that you are a soft follower. We will only become strong again if we elect people who follow core Liberal principles.
In business, that is exercising initiative, using calm assessment of the effectiveness of your strategy and sharing your findings with your team in order to move forward. Not much different to being an elected Member or an elected council member.
Woebetide any member who is happy to sit in opposition and pretend to be busy and just sit back and accept the perks. Read the article by Warren Mundine in today’s Daily Telegraph (8/8/’23) and you will get a glimpse of what I mean.
Liberal party will not survive the next election cycle the left will have nothing left to inherit as conservatives migrate to alternatives in protest. Cory Bernardi was just the beginning.
Howard’s battlers are being deserted for the inner city Chardonnay set, look across the world it is a strategy of disaster.
This Liberal Division, having plundered the best out of the State Treasury, now have their greedy eyes on the Federal one where the pickings are much better for setting up lucrative deals for personal profit. I saw it coming when they wanted to send Gladys, who has been taught from young Liberal days to do the Left bidding, up to Canberra via Warringah electorate.
The state Members were more discreet up till then. The only indication had been Gladys forcing Covid lockdowns which the PM then had to finance ‘ loss of wages funds ‘into, bringing federal monies into the state. But lately they are more blatant with Perrotet/Kean recently demanding federal funding for businesses that the state had put into financial difficulties, and all available RAT packages being commandeered into Perrotet’s education testing venture – unnecessarily testing twice weekly, when once would do – when they should have shared stocks with pensioners and other low income groups till the next shipment came through, all paid for by federal Treasury.
Who could forget the adolescent arrogant public display on Sunday night news of Perrotet/Kean behaving like ‘adolescent 14 year olds seeking to use power over their parents by threatening to sick the authorities onto them if they didn’t get their way.’ In this instance the parents were the Feds and the authorities were the voting public. And the ‘adolescents’ really needed to be told to take responsibility for their own activities, not keep calling on the ‘parents’ to bail them out!
This is no Liberal Party it is the Morrison NAZI Party . Abbott was ousted because he was not a left wing radical and had conviction . Sure he was not perfect but compared to clapper boy and the rest of the rabble ??? He is a better choice still.
Scott is doing a great job under difficult circumstances. He has to keep the Left appeased while still doing the right thing by Australia – or face what Tony got! What needs to happen is the Left being more equalised rather than in so much control. Thank goodness the media is so insightful and can help modify the damage the Left tries to inflict!
“A great job”? Unleashing this national cabinet on the nation and then being too timid to reign it back in is a fair stretch from doing a great job.
The nation is divided, people are being scared witless with political and media driven fear porn, the economy is in the toilet again not such a great job.
“Or face what Tony got?” now you’re onto something, it wasn’t the opposition that rolled a PM, it wasn’t the media, he was worked over and destroyed by his own party, he’s not the only one. The cancer within the Liberal organisation is terminal it has destroyed and decayed every arm every organ of the being.
One Liberal told everyone he wanted Warringah NOW scouting around elsewhere.
So are the Liberals admitting defeat to Olympian Zali Steggal?
Who are you referring to? Interested.
Cannot rig pre-selections and get away with it.
Oh they can (and do) rig pre-selections, if your branch is fortunate enough to ever have them. Of course the shoulder taps and telephone calls have all been done long before the event, so if you do get a vote, you’ll be making a choice between factional preferences.
The Liberal party has defied every hard working aspirational Australian who returned them to office, instead they chase woke left votes in the hope of entrenching a few past their use-by MP in once safe seats.
It’s lazy, it’s destructive, it’s ripped the heart and soul out of the Liberal brand. It is damaged to the point the party is no longer even a repairable write-off.
Menzies Liberalism will survive, but the party riding on that legacy is no longer fit for purpose. The climate is ripe for re-emergence of the values of Menzies in a new and democratic form.
“To disrespect the membership in such a contemptible fashion will undoubtedly degrade our ground game in the upcoming election.”
They have being doing it to the Australian people for years. Time the LNP just died. They have not represented the Conservative views of Australian for years. This election manifesto will be their suicide note.
That’s why I resigned. Can’t continue to support a rabble undeomcratic organisation.
No longer a member of this rabble